Creativity over Consumerism
We are innately creative.
When I remember this, I realize that anything is possible.
== What comes next are records of molecules, not part of the page ==
........
No. 1
A cluster of 4 separate species, C37H40N2O13S in total at a distorted geometry. Source: OMol25; level of theory: ωB97M-V with the def2-TZVPD basis set.

Values from the calculation:
**SMILES**: C#CC[C@H]1[C@H](N=C=O)C(=O)O[C@@]1(CCCCN(C)C(C)=O)CCCCS(=O)(=O)O.O=C1C=CC(=O)C=C1.O=C1C=CC(=O)C=C1.O=C1C=CC(=O)C=C1
**Frontier orbital gap**: 0.272 Eh
**Strongest force on any atom**: 1.9 eV/A
**E_tot**: -79444.9790 eV

Last column: Mulliken charge in e.
Atoms and positions in Å:
C  -1.6269  -2.1932  5.0001  -0.068
C  -0.8807  -1.5175  4.3481  -1.082
C  0.0388  -0.7286  3.5108  0.189
C  -0.3906  -0.8641  2.0223  -0.012
C  -1.2272  0.3853  1.6408  0.671
N  -2.6874  0.1415  1.3574  -0.722
C  -3.3609  0.2100  2.3726  0.589
O  -4.0101  0.2917  3.3344  -0.524
C  -0.5497  0.9963  0.4063  -0.419
O  -0.9707  1.8563  -0.2983  -0.630
O  0.6600  0.4135  0.2900  -0.422
C  0.7030  -0.8824  0.9451  1.610
C  0.5394  -1.9418  -0.1578  0.260
C  -0.9082  -2.3368  -0.4859  -0.463
C  -0.9569  -3.2780  -1.7156  -0.661
C  -1.5615  -2.6576  -2.9887  -1.381
N  -0.6120  -2.0434  -3.9225  0.163
C  -0.0882  -0.7341  -3.4837  -1.307
C  0.3473  -2.9382  -4.3784  0.931
C  1.7048  -2.4358  -4.8223  -0.787
O  0.1045  -4.1312  -4.4340  -0.640
C  2.1514  -0.9732  1.4697  -1.147
C  3.2578  -0.7044  0.4178  -0.987
C  4.3482  -1.7903  0.3400  -1.168
C  4.0089  -3.0190  -0.5294  0.106
S  3.9779  -4.5682  0.3772  1.212
O  4.1713  -5.6418  -0.5548  -0.647
O  4.9099  -4.5050  1.4574  -0.625
O  2.5154  -4.7298  1.0130  -0.450
H  -2.3224  -2.8938  5.3977  0.448
H  0.0152  0.3096  3.8407  -0.139
H  1.0525  -1.0838  3.7006  0.611
H  -1.1418  -1.6487  1.9799  0.126
H  -1.1946  1.2156  2.3446  0.782
H  1.1360  -2.8220  0.0717  -0.551
H  0.9677  -1.5023  -1.0606  -0.332
H  -1.5733  -1.4739  -0.5708  0.268
H  -1.2702  -2.9110  0.3726  0.402
H  -1.5957  -4.1234  -1.4496  0.351
H  0.0396  -3.6970  -1.8706  0.491
H  -2.2382  -1.8586  -2.6757  0.568
H  -2.1909  -3.3833  -3.4970  0.335
H  -0.0324  -0.0739  -4.3549  0.375
H  -0.7940  -0.2567  -2.8079  0.434
H  0.9126  -0.7704  -3.0545  0.356
H  2.2115  -3.1588  -5.4501  0.412
H  2.3178  -2.3129  -3.9208  0.000
H  1.6276  -1.4407  -5.2582  0.024
H  2.2912  -1.9949  1.8437  0.566
H  2.3214  -0.3182  2.3249  0.585
H  2.8765  -0.4915  -0.5802  0.303
H  3.7804  0.2009  0.7341  0.528
H  5.2107  -1.3127  -0.1295  0.400
H  4.6837  -2.1006  1.3295  0.607
H  4.8198  -3.1807  -1.2395  0.519
H  3.1019  -2.9147  -1.1245  -0.419
H  1.8847  -4.9261  0.3034  0.355
O  -6.1514  4.6083  6.7493  -0.545
C  -6.6492  3.7444  6.0584  0.355
C  -8.1203  3.6554  5.8796  -0.399
C  -8.6673  2.7072  5.1237  -0.365
C  -7.8289  1.6991  4.4261  0.302
O  -8.3291  0.8370  3.7359  -0.544
C  -6.3579  1.7871  4.6044  -0.348
C  -5.8143  2.7370  5.3613  -0.455
H  -8.7123  4.4003  6.3961  0.403
H  -9.7373  2.6241  4.9804  0.413
H  -5.7543  1.0462  4.0908  0.796
H  -4.7441  2.8199  5.5043  0.473
O  3.2948  6.1278  5.2468  -0.539
C  2.5557  5.3275  4.7197  0.299
C  1.7225  4.3995  5.5275  -0.380
........
Over the years, I taught art to children and discovered that each of us is born innately creative. Even if you're not a visual artist, your unique creative voice may be expressed through music, acting, poetry, dancing, sports, philosophy, engineering, and more.
As the teacher, it was up to me to unearth and support each child's gift.
Discovering and cultivating our unique creative voice is essential to our health and well-being. We can feel stuck, numb, or helpless when we ignore this. On the other hand, when we use our creative wisdom, we feel vital and alive!
Recently, our family went through a massive purge of stuff.
After I blogged about our story, I received a text from a friend who asked:
"What's next?"
What a perfect question because, in some ways, our life now feels like a blank canvas.
My first thought was….
It feels like looking out at the newly fallen snow before anyone walks in it.
In Yogic philosophy, there is a universal energy called Spanda.
It refers to the expansion and contraction of life and, with life, a collection of more things. And let's get real; marketing of more beautiful stuff is always around us, and I am a sucker for beautiful things.
With the awareness that my life, like the fresh blanket of snow, will not stay that way forever, I put some thought into "What's next?" and I came up with my 4-part process to making lasting change - while adding more vitality, saving money, and slowing down the numbing consumerism that can be so toxic to our personal and world environment.
____________
(1)
Density functional theory data (ωB97M-V/def2-TZVPD) for a single C4H4O molecule at a distorted geometry.

**Energy above the lowest of the compared OMol25 structures with the same formula, charge and spin**: 75.47 kcal per mole
**DFT total energy**: -229.90769 Eh
**LUMO level**: 1.21 eV

Positions of all 9 atoms, in Å:
C -0.7724 -0.6766 0.3644
C -0.8268 0.6584 0.4252
C 0.5210 0.7894 -0.2872
O 1.5455 0.0647 0.4281
C 0.6247 -0.6779 -0.3364
H -1.4946 -1.4943 0.7287
H -1.4156 1.3632 0.8157
H 0.9370 1.3839 -1.0756
H 0.8813 -1.4107 -1.0629

Mulliken atomic charge list, values in e, 4 entries:
1. C -0.24
2. C -0.73
3. C 0.00
4. O -0.40

(2)
Density functional theory data (ωB97M-V/def2-TZVPD) for 2 unconnected molecules or ions with the total composition CHFINO2 at a distorted geometry.

**Energy above the lowest of the compared OMol25 structures with the same formula, charge and spin**: 25.21 kcal per mole
**DFT total energy**: -641.23800 Eh
**LUMO level (spin up / spin down)**: 0.39 / -3.45 eV
**Multiplicity**: 3

Positions of all 7 atoms, in Å:
C -1.7973 -2.4296 0.0180
N -2.6615 -1.5738 -0.0483
O -1.2140 -3.4329 0.1281
O 0.1058 -0.0898 -0.2624
F 1.1490 -1.0183 -0.4484
I -2.7180 0.4198 -0.1235
H 0.5257 0.6581 0.2323

Mulliken atomic charge list, values in e, 4 entries:
1. C 0.68
2. N -0.50
3. O -0.39
4. O -0.22

(3)
Density functional theory data (ωB97M-V/def2-TZVPD) for a single C2H7N3S molecule at a distorted geometry.

**Energy above the lowest of the compared OMol25 structures with the same formula, charge and spin**: 55.76 kcal per mole
**DFT total energy**: -642.76380 Eh
**LUMO level**: 0.53 eV

Positions of all 13 atoms, in Å:
H -1.6556 -0.8958 1.7061
N -0.6215 -1.2187 1.8439
C -0.1837 -0.7473 0.7254
N 1.2426 -0.7588 0.6090
N 1.5782 -1.1683 -0.6995
S -1.3002 -0.1381 -0.4682
C -0.9621 1.6784 -0.5948
H 1.4997 -1.4012 1.3975
H 0.7809 -0.8978 -1.3558
H 2.3512 -0.4083 -1.1511
H -0.7901 2.0241 0.4510
H -1.8615 2.0063 -1.2420
H -0.0778 1.9256 -1.2214

Mulliken atomic charge list, values in e, 4 entries:
1. H 0.31
2. N -0.66
3. C 0.26
4. N -0.07

(4)
Density functional theory data (ωB97M-V/def2-TZVPD) for a molecular structure, C2F8K6NO10S4 at a distorted geometry.

**Charge**: +3
**DFT total energy**: -6873.97894 Eh
**LUMO level**: -9.63 eV

Positions of all 31 atoms, in Å:
K 4.3706 0.0456 2.1666
K 0.4059 1.7171 -3.3808
K 0.6151 5.1656 -1.7662
K -0.4235 0.7161 5.0605
K 5.1420 3.0379 -0.8148
K 0.9621 -2.3975 -1.5603
N -2.1357 0.8674 -2.8134
S -2.9996 0.2403 -1.6773
O -3.6103 -1.0737 -1.9139
O -3.5034 1.1377 -0.6699
F -1.7072 -0.2794 -0.8978
S -3.2674 0.6711 -4.0142
O -4.4955 1.4456 -3.8526
O -3.2617 -0.6763 -4.6164
F -2.4631 1.4607 -5.1519
C 0.3734 1.5630 1.3862
F -0.7116 0.9121 1.0684
F 0.1080 2.8383 1.6885
F 0.8405 1.0385 2.5095
S 1.7458 1.4753 -0.0239
O 3.0511 1.7579 0.5927
O 1.6341 0.1098 -0.5518
O 1.4103 2.5494 -0.9426
C 0.0861 -3.2385 2.6536
F -0.1797 -3.5247 3.9341
F -0.3261 -4.2639 1.9636
F -0.6075 -2.1673 2.2644
S 1.9312 -2.8804 2.3778
____________
Let go of what is unnecessary and does not lift your energy. Read last week's blog for more.
We live in a culture of fast food and working lunches; digestion is NOT an area of focus in the American lifestyle.
Yet, it is a crucial factor for good health.
It’s as important to digest our emotions as much as our dinner. Undigested emotions will eventually show up physically. So the next step is to allocate time to DIGEST the PURGE, which lets you get clear on your present and active values, directing your "Now what?"
Insanity is doing the same thing again and again and expecting a different result. You have heard that our patterns become our habits. Our family calls our life patterns our "PERSONAL-REALITIES," which inevitably become our "PERSONALITIES. So choosing our living patterns becomes uber important when looking at a post-PURGE blank canvas - When we dream, we open doors to new possibilities. And since our family is now staring at a blank canvas, I am committed to using our values as a compass and dreaming as big as we can BEFORE we begin throwing paint around (i.e., making a million life changes:).
If there is one thing that I have learned while living in Costa Rica, it is that we don't need much stuff to be happy. I think about all that we got rid of, and while a lot went to charity, a lot could have been repurposed that instead went to the dump. It made us cringe as we watched the trash truck pull away.
Caring for this earth is one of our values. So before we bring something new in, even something very small or inexpensive, we consider it deeply because we know that everything will eventually end up back in the dump one day.
How conscious can we be with our purchases?
Do we really need the things we buy?
Does this purchase align with our values?
I love to pause in the check-out line and ask these questions.
Misplaced quantum chemistry results.
Record 1
Formula: C19H64N20O13
Source: the OMol25 dataset
Level of theory: ωB97M-V with the def2-TZVPD basis set

Positions of all 116 atoms, in Å:
O 8.69489 0.44991 0.20290
O 3.03889 -5.57007 3.67917
O -3.11936 0.77388 4.91281
O -0.36857 -5.23699 -5.05165
O 4.01556 -0.85391 -6.58748
O -0.80029 -0.86009 -0.20540
O -6.19897 -2.99436 2.59318
O 0.25852 7.22652 1.14110
O -1.11498 4.59969 -4.66418
O -5.09476 -0.02048 -4.01806
O -6.57319 3.73644 -1.59070
O 4.58280 4.74441 -4.13690
O 3.28960 1.78075 4.14714
N -2.74961 -0.03448 6.93562
N -2.21370 -6.32997 -5.01629
N -2.03575 2.93645 -3.50872
N 3.18288 4.00394 -2.54500
N 1.93330 5.96649 1.92499
N -0.00769 0.93337 0.91633
N 3.84075 2.87562 5.99665
N 5.23855 4.17212 -2.13522
N -3.99860 -1.95681 -3.67853
N -5.66404 -1.92148 -4.99740
N 3.11761 -2.88353 -6.76253
N -5.69356 -2.74159 0.52868
N -4.11045 -2.43598 1.96275
N 2.33863 7.49352 0.52562
N -1.37972 -5.71229 -3.10837
N -4.70914 -0.04110 6.07451
N 2.41347 -1.54922 -5.22855
N 1.25761 -0.30795 -0.21560
N 1.75513 2.11986 5.52989
N -3.09471 3.78582 -5.16889
C -3.49279 0.34667 5.96093
C 9.23867 -1.83970 1.10726
C 7.28264 -1.12091 -0.57293
C 2.96062 2.30928 5.17249
C 1.42305 6.92994 1.19709
C -5.34922 -2.76025 1.77449
C 3.25602 -1.69784 -6.20795
C -7.44343 4.00799 0.77808
C 0.06603 -0.06342 0.12589
C -4.90442 -1.19553 -4.25134
C -1.25536 -5.76234 -4.37146
C 4.33030 4.36593 -3.03383
C -2.00865 3.86797 -4.48659
C -6.43475 3.39481 -0.22114
C -5.02039 3.30173 0.33793
C 8.21906 -0.78499 0.61095
C 0.92880 -5.59897 2.82620
C 1.42973 -5.60512 5.32291
C 1.78337 -5.07940 3.94808
H -3.16626 -0.59267 7.66701
H 6.48927 -1.83532 -0.35319
H -1.75105 0.06620 6.82239
H 1.89794 8.06335 -0.18232
H -3.42365 4.48244 -5.82205
H -2.02348 -6.50986 -5.99177
H 6.60822 -0.32295 -0.88360
H 2.91850 6.13772 2.06696
H 3.09268 3.68901 -1.58961
H 3.66652 -2.99680 -7.60275
H 0.50515 -5.07877 5.56000
H 2.22374 -5.43702 6.05051
H 2.92398 -6.34695 3.12702
H -4.50783 2.55778 -0.27192
H 1.58146 2.41308 6.48066
H -3.84015 -2.43279 2.93590
H 7.53319 -0.52968 1.41873
H -0.09073 -5.21722 2.77211
H 2.45324 -3.56110 -6.41669
H -0.90175 -4.96659 -2.62301
H 1.38983 -1.24649 -0.56451
H -6.68156 -2.89254 0.38323
H -6.98498 4.84145 1.31030
H -5.40373 -2.84944 -5.29944
H 1.36511 5.40326 2.54146
H 1.74514 -2.27620 -5.01656
H 4.77328 2.68680 5.65777
H -2.32302 -5.97678 -2.86274
H -5.00340 -2.24574 -0.01714
H 2.43372 -0.66829 -4.73494
H 9.32094 0.79355 0.84443
H -6.31600 2.99267 -2.14048
H -6.43308 -1.46559 -5.46734
H -3.93725 -2.88331 -4.07593
H 8.84115 -2.83508 1.30551
H -3.28167 -1.68543 -3.02090
H -8.42644 4.29521 0.40485
H -1.33883 2.97668 -2.77881
H 1.96794 0.20449 0.28732
H -7.71686 3.18829 1.44248
H 3.60093 3.33117 6.86558
H 2.41188 4.12405 -3.18628
H -3.50640 -2.30528 1.16391
H 1.04882 1.83194 4.86782
H -2.76346 2.23626 -3.49193
H -5.08811 2.95567 1.36932
H 0.68859 1.63734 1.11560
H -0.84000 1.08538 1.46793
H -5.30188 -0.08678 5.25802
H 9.95819 -1.87450 0.28923
H -6.74325 2.35077 -0.27501
End of the quantum chemistry results.
This is the fun part!
When we were having our greatest money challenges, we used it as an opportunity to learn how to be Creative instead of Consume.
Creativity vs. Consumerism became the game.
Remember the story Swiss Family Robinson, where the shipwrecked family created a sustainable life and tree house with whatever they could salvage from the wreck? Circumstances dictated that they had to be creative to survive. And while they were obviously struggling to survive, there was a joy that came from living in the creative process and pride in their creation!
The Creative process opens up new channels in our brains.
Creativity makes us feel alive, inspired, and vital. Creativity can be a support for the environment.
Instead of spending money on new things, we learn new skills and care for things that we already own.
Put our love and intention into what we have instead of reaching for more that numbs and fuels consumerism.